# Material
/*
[1]
{"formula": "BeAl2PSe", "functional": "PBE", "state": "optimized geometry", "final_energy_ev_per_cell": -14.33, "formation_energy_uncorrected_ev_per_atom": 1.155, "lattice_angstrom": [[4.894, 0.000, 0.000], [0.000, 4.894, 0.000], [0.000, 0.000, 4.882]], "species": ["Be", "Al", "Al", "P", "Se"], "fractional_positions": [[0.000, 0.000, 0.000], [0.000, 0.500, 0.500], [0.500, 0.000, 0.500], [0.500, 0.500, 0.000], [0.500, 0.500, 0.500]]}

[2]
{"formula": "NdHoEr2Ag4", "functional": "PBE", "state": "optimized geometry", "final_energy_ev_per_cell": -32.33, "formation_enthalpy_0k_ev_per_atom": -0.3063, "lattice_angstrom": [[2.576, 1.487, 8.461], [-2.576, 1.487, 8.461], [0.000, -2.975, 8.461]], "species": ["Nd", "Ho", "Er", "Er", "Ag", "Ag", "Ag", "Ag"], "fractional_positions": [[0.000, 0.000, 0.000], [0.500, 0.500, 0.500], [0.249, 0.249, 0.249], [0.751, 0.751, 0.751], [0.127, 0.127, 0.127], [0.379, 0.379, 0.379], [0.621, 0.621, 0.621], [0.873, 0.873, 0.873]]}

[3]
{"formula": "Sc2CdHg6", "functional": "PBE", "state": "optimized geometry", "final_energy_ev_per_cell": -33.65, "formation_enthalpy_0k_ev_per_atom": -0.1594, "lattice_angstrom": [[4.641, -8.238, 0.000], [4.641, 8.238, 0.000], [-0.093, 0.000, 5.350]], "species": ["Sc", "Sc", "Sc", "Sc", "Cd", "Cd", "Hg", "Hg", "Hg", "Hg", "Hg", "Hg", "Hg", "Hg", "Hg", "Hg", "Hg", "Hg"], "fractional_positions": [[0.166, 0.334, 0.000], [0.334, 0.166, 0.500], [0.666, 0.834, 0.500], [0.834, 0.666, 0.000], [0.250, 0.750, 0.250], [0.750, 0.250, 0.750], [0.000, 0.169, 0.499], [0.000, 0.831, 0.501], [0.082, 0.582, 0.754], [0.169, 0.000, 0.999], [0.331, 0.500, 0.501], [0.418, 0.918, 0.746], [0.500, 0.331, 0.001], [0.500, 0.669, 0.999], [0.582, 0.082, 0.254], [0.669, 0.500, 0.499], [0.831, 0.000, 0.001], [0.918, 0.418, 0.246]]}

[4]
{"formula": "SrAgS", "functional": "PBE", "state": "optimized geometry", "final_energy_ev_per_cell": -22.92, "formation_energy_uncorrected_ev_per_atom": -0.933, "lattice_angstrom": [[4.452, -3.052, 0.000], [4.452, 3.052, 0.000], [-0.410, 0.000, 5.926]], "species": ["Sr", "Sr", "Ag", "Ag", "S", "S"], "fractional_positions": [[0.180, 0.180, 0.267], [0.820, 0.820, 0.733], [0.443, 0.443, 0.701], [0.557, 0.557, 0.299], [0.167, 0.167, 0.777], [0.833, 0.833, 0.223]]}

[5]
{"formula": "YPuTi", "functional": "PBE", "state": "optimized geometry", "final_energy_ev_per_cell": -55.86, "formation_enthalpy_0k_ev_per_atom": 0.2541, "lattice_angstrom": [[-1.612, 1.612, 14.281], [1.612, -1.612, 14.281], [1.612, 1.612, -14.281]], "species": ["Y", "Y", "Pu", "Pu", "Ti", "Ti"], "fractional_positions": [[0.061, 0.061, 0.000], [0.939, 0.939, 0.000], [0.351, 0.351, 0.000], [0.649, 0.649, 0.000], [0.219, 0.219, 0.000], [0.781, 0.781, 0.000]]}

[6]
{"formula": "CaTm2Ga6", "functional": "PBE", "state": "optimized geometry", "final_energy_ev_per_cell": -33.38, "formation_enthalpy_0k_ev_per_atom": -0.4744, "lattice_angstrom": [[-2.174, 3.539, 6.512], [2.174, -3.539, 6.512], [2.174, 3.539, -6.512]], "species": ["Ca", "Tm", "Tm", "Ga", "Ga", "Ga", "Ga", "Ga", "Ga"], "fractional_positions": [[0.000, 0.000, 0.000], [0.376, 0.876, 0.500], [0.624, 0.124, 0.500], [0.008, 0.313, 0.695], [0.317, 0.500, 0.817], [0.382, 0.687, 0.695], [0.618, 0.313, 0.305], [0.683, 0.500, 0.183], [0.992, 0.687, 0.305]]}

[7]
{"formula": "Nd2Ga4Pt3Rh", "functional": "PBE", "state": "optimized geometry", "final_energy_ev_per_cell": -56.61, "formation_enthalpy_0k_ev_per_atom": -0.9492, "lattice_angstrom": [[4.289, 0.000, 0.000], [0.000, 4.289, 0.000], [0.000, 0.000, 10.432]], "species": ["Nd", "Nd", "Ga", "Ga", "Ga", "Ga", "Pt", "Pt", "Pt", "Rh"], "fractional_positions": [[0.000, 0.500, 0.249], [0.500, 0.000, 0.751], [0.000, 0.000, 0.500], [0.000, 0.500, 0.873], [0.500, 0.000, 0.127], [0.500, 0.500, 0.500], [0.000, 0.000, 0.000], [0.000, 0.500, 0.633], [0.500, 0.000, 0.367], [0.500, 0.500, 0.000]]}

[8]
*/
# Request
Your job: give back the whole of the block earlier on with every line break kept.
# Here it is
[1]
{"formula": "BeAl2PSe", "functional": "PBE", "state": "optimized geometry", "final_energy_ev_per_cell": -14.33, "formation_energy_uncorrected_ev_per_atom": 1.155, "lattice_angstrom": [[4.894, 0.000, 0.000], [0.000, 4.894, 0.000], [0.000, 0.000, 4.882]], "species": ["Be", "Al", "Al", "P", "Se"], "fractional_positions": [[0.000, 0.000, 0.000], [0.000, 0.500, 0.500], [0.500, 0.000, 0.500], [0.500, 0.500, 0.000], [0.500, 0.500, 0.500]]}

[2]
{"formula": "NdHoEr2Ag4", "functional": "PBE", "state": "optimized geometry", "final_energy_ev_per_cell": -32.33, "formation_enthalpy_0k_ev_per_atom": -0.3063, "lattice_angstrom": [[2.576, 1.487, 8.461], [-2.576, 1.487, 8.461], [0.000, -2.975, 8.461]], "species": ["Nd", "Ho", "Er", "Er", "Ag", "Ag", "Ag", "Ag"], "fractional_positions": [[0.000, 0.000, 0.000], [0.500, 0.500, 0.500], [0.249, 0.249, 0.249], [0.751, 0.751, 0.751], [0.127, 0.127, 0.127], [0.379, 0.379, 0.379], [0.621, 0.621, 0.621], [0.873, 0.873, 0.873]]}

[3]
{"formula": "Sc2CdHg6", "functional": "PBE", "state": "optimized geometry", "final_energy_ev_per_cell": -33.65, "formation_enthalpy_0k_ev_per_atom": -0.1594, "lattice_angstrom": [[4.641, -8.238, 0.000], [4.641, 8.238, 0.000], [-0.093, 0.000, 5.350]], "species": ["Sc", "Sc", "Sc", "Sc", "Cd", "Cd", "Hg", "Hg", "Hg", "Hg", "Hg", "Hg", "Hg", "Hg", "Hg", "Hg", "Hg", "Hg"], "fractional_positions": [[0.166, 0.334, 0.000], [0.334, 0.166, 0.500], [0.666, 0.834, 0.500], [0.834, 0.666, 0.000], [0.250, 0.750, 0.250], [0.750, 0.250, 0.750], [0.000, 0.169, 0.499], [0.000, 0.831, 0.501], [0.082, 0.582, 0.754], [0.169, 0.000, 0.999], [0.331, 0.500, 0.501], [0.418, 0.918, 0.746], [0.500, 0.331, 0.001], [0.500, 0.669, 0.999], [0.582, 0.082, 0.254], [0.669, 0.500, 0.499], [0.831, 0.000, 0.001], [0.918, 0.418, 0.246]]}

[4]
{"formula": "SrAgS", "functional": "PBE", "state": "optimized geometry", "final_energy_ev_per_cell": -22.92, "formation_energy_uncorrected_ev_per_atom": -0.933, "lattice_angstrom": [[4.452, -3.052, 0.000], [4.452, 3.052, 0.000], [-0.410, 0.000, 5.926]], "species": ["Sr", "Sr", "Ag", "Ag", "S", "S"], "fractional_positions": [[0.180, 0.180, 0.267], [0.820, 0.820, 0.733], [0.443, 0.443, 0.701], [0.557, 0.557, 0.299], [0.167, 0.167, 0.777], [0.833, 0.833, 0.223]]}

[5]
{"formula": "YPuTi", "functional": "PBE", "state": "optimized geometry", "final_energy_ev_per_cell": -55.86, "formation_enthalpy_0k_ev_per_atom": 0.2541, "lattice_angstrom": [[-1.612, 1.612, 14.281], [1.612, -1.612, 14.281], [1.612, 1.612, -14.281]], "species": ["Y", "Y", "Pu", "Pu", "Ti", "Ti"], "fractional_positions": [[0.061, 0.061, 0.000], [0.939, 0.939, 0.000], [0.351, 0.351, 0.000], [0.649, 0.649, 0.000], [0.219, 0.219, 0.000], [0.781, 0.781, 0.000]]}

[6]
{"formula": "CaTm2Ga6", "functional": "PBE", "state": "optimized geometry", "final_energy_ev_per_cell": -33.38, "formation_enthalpy_0k_ev_per_atom": -0.4744, "lattice_angstrom": [[-2.174, 3.539, 6.512], [2.174, -3.539, 6.512], [2.174, 3.539, -6.512]], "species": ["Ca", "Tm", "Tm", "Ga", "Ga", "Ga", "Ga", "Ga", "Ga"], "fractional_positions": [[0.000, 0.000, 0.000], [0.376, 0.876, 0.500], [0.624, 0.124, 0.500], [0.008, 0.313, 0.695], [0.317, 0.500, 0.817], [0.382, 0.687, 0.695], [0.618, 0.313, 0.305], [0.683, 0.500, 0.183], [0.992, 0.687, 0.305]]}

[7]
{"formula": "Nd2Ga4Pt3Rh", "functional": "PBE", "state": "optimized geometry", "final_energy_ev_per_cell": -56.61, "formation_enthalpy_0k_ev_per_atom": -0.9492, "lattice_angstrom": [[4.289, 0.000, 0.000], [0.000, 4.289, 0.000], [0.000, 0.000, 10.432]], "species": ["Nd", "Nd", "Ga", "Ga", "Ga", "Ga", "Pt", "Pt", "Pt", "Rh"], "fractional_positions": [[0.000, 0.500, 0.249], [0.500, 0.000, 0.751], [0.000, 0.000, 0.500], [0.000, 0.500, 0.873], [0.500, 0.000, 0.127], [0.500, 0.500, 0.500], [0.000, 0.000, 0.000], [0.000, 0.500, 0.633], [0.500, 0.000, 0.367], [0.500, 0.500, 0.000]]}

[8]